<<<
No. 1
ORCA calculation (wB97M-V/def2-TZVPD) on C23H28N4O4 in the gas phase.

The SMILES is COc1ccc(OCC(=O)Nc2ccc3c(c2)nc(CCN2CCOCC2)n3C)cc1. The net charge is 0. The LUMO energy is 0.7 eV. As for the energy above the lowest of the compared OMol25 structures with the same formula, charge and spin: 49.1 kcal per mole.

Geometry as XYZ:
```
59
Properties=species:S:1:pos:R:3:forces:R:3:nbo_charge:R:1
C 4.841023 0.373306 -0.635834 0.1 -0.4 0.2 -0.2853
N -1.474208 -1.231345 1.841606 -0.1 0.3 0.5 -0.4851
C 5.332444 -2.400483 -0.268189 0.1 -0.2 -0.3 -0.1620
H 5.090567 4.371959 -1.746322 0.0 0.0 0.0 0.1747
O 3.704468 -3.025362 -1.914971 0.0 -0.1 -0.2 -0.6160
C 5.522804 0.686252 1.642778 0.0 -0.2 -0.1 -0.2266
N -4.548076 0.352893 0.039194 -0.1 0.1 0.0 -0.4771
H -3.215714 -2.739783 -1.750974 0.0 0.0 0.0 0.2132
H 5.561088 2.710875 2.332809 0.0 0.1 0.1 0.2254
H -4.387558 -1.870830 -0.739708 0.1 -0.1 0.0 0.2434
C -4.354843 0.291817 1.481188 0.0 -0.4 0.1 -0.2059
C -5.806722 2.463043 -0.311110 -0.2 -0.3 0.0 -0.0896
H 1.516675 -3.322639 -1.849287 0.0 0.0 0.0 0.2550
H -5.719180 2.777476 0.741587 0.0 0.0 -0.1 0.1578
C 4.682810 1.745545 -0.771543 0.0 0.4 0.0 -0.2964
C 4.390609 4.561628 -0.925919 -0.1 0.1 -0.2 -0.2531
C -5.807600 0.932113 -0.399779 0.0 0.3 0.0 -0.2391
N -2.523199 -2.171433 0.109494 0.1 0.2 0.2 -0.3760
C 0.853902 -1.707317 1.058753 0.0 -0.1 -0.2 -0.2340
H 4.351465 2.129257 -1.723171 0.0 0.1 -0.1 0.2200
H -3.320986 2.841897 0.421015 0.0 0.0 -0.1 0.1597
H -0.941766 -3.374765 -1.998978 0.0 -0.1 -0.1 0.2128
C 5.363315 2.045142 1.508256 -0.1 0.1 -0.2 -0.2587
H -6.722410 2.879646 -0.733758 0.0 0.0 0.1 0.1956
C -3.932268 -1.128562 1.907619 -0.1 0.4 0.0 -0.4539
C -0.531114 -1.725004 0.979759 -0.2 -0.4 -0.7 0.1000
C 5.264488 -0.164997 0.568090 0.0 0.2 -0.1 0.2582
H -2.501724 0.617263 -0.293769 0.1 0.0 -0.1 0.2158
C -0.456831 -2.909443 -1.154231 -0.2 0.0 0.0 -0.2332
C -3.500339 2.509340 -0.613777 0.2 -0.3 0.0 -0.0895
H 5.849913 0.255689 2.575852 0.0 0.0 0.1 0.2245
H -3.537775 0.673107 -1.736650 0.1 0.0 0.0 0.1984
H -6.624838 0.516368 0.191967 0.0 0.0 0.0 0.2007
C 0.919306 -2.884188 -1.068215 0.1 -0.1 -0.2 -0.2523
H -2.743596 2.951387 -1.263346 0.0 0.0 0.1 0.1979
H 4.619403 -0.256125 -1.483555 0.0 -0.1 -0.1 0.2285
H 4.362863 5.630068 -0.717616 0.0 -0.1 -0.1 0.2003
C -3.593611 -2.617191 -0.737428 -0.3 -0.3 -0.1 -0.4206
H 3.390216 4.224233 -1.216425 0.0 0.0 0.0 0.1749
H -3.817648 -1.140260 2.991712 0.0 -0.1 0.0 0.2399
H 5.977282 -2.107875 -1.105286 -0.2 0.0 0.1 0.2050
H -3.989965 -3.576996 -0.392633 0.0 0.0 -0.1 0.1993
C 4.941300 2.594281 0.295035 0.0 -0.1 0.0 0.3509
C 1.568500 -2.292782 0.024559 -0.3 0.0 -0.1 0.1283
H 5.685357 -3.363950 0.114369 -0.1 0.1 -0.1 0.2205
O 5.438530 -1.508185 0.814174 0.0 0.1 0.2 -0.5053
H -4.706164 -1.839875 1.619331 -0.1 0.0 0.1 0.2138
H -5.951230 0.644070 -1.446614 -0.1 0.0 0.0 0.1979
C 3.901970 -2.600946 -0.796257 0.3 0.2 0.3 0.6492
H -3.586030 0.992897 1.823160 -0.1 0.0 0.0 0.1950
H 3.324287 -1.917130 1.000483 0.1 -0.1 -0.2 0.4139
O 4.815565 3.952422 0.268082 0.1 -0.2 0.3 -0.5104
O -4.743544 3.007387 -1.062868 0.0 0.0 -0.1 -0.5268
N 2.967817 -2.278824 0.123220 0.1 0.1 0.5 -0.5952
C -2.629619 -1.511673 1.303982 0.0 -0.1 0.0 0.4102
H 1.350256 -1.250324 1.900775 0.1 0.1 0.1 0.2177
C -1.179230 -2.327739 -0.125210 0.6 0.2 0.3 0.1469
C -3.451699 0.977969 -0.688672 0.0 0.3 -0.1 -0.2517
H -5.288756 0.536699 1.993272 0.1 0.1 0.0 0.1985
```
Positions in Å, forces in eV/Å.

No. 2
ORCA calculation (wB97M-V/def2-TZVPD) on a molecular structure, C23H28NPdS4.

As for the spin multiplicity: 3. The net charge is +1. The LUMO energy (spin up / spin down) is -2.5 / -4.3 eV. As for the energy above the lowest of the compared OMol25 structures with the same formula, charge and spin: 0.0 kcal per mole.

Geometry as XYZ:
```
57
Properties=species:S:1:pos:R:3:forces:R:3:nbo_charge:R:1
H 6.892456 1.753323 0.767806 0.0 0.0 0.0 0.2266
C 0.395150 1.910279 -3.892830 0.0 0.0 0.0 -0.1923
H -0.754838 -1.018806 4.223565 0.0 0.0 0.0 0.2173
>>>

Now transcribe the contents further up from the first line to the one with "0.919306 -2.884188" without altering anything.

No. 1
ORCA calculation (wB97M-V/def2-TZVPD) on C23H28N4O4 in the gas phase.

The SMILES is COc1ccc(OCC(=O)Nc2ccc3c(c2)nc(CCN2CCOCC2)n3C)cc1. The net charge is 0. The LUMO energy is 0.7 eV. As for the energy above the lowest of the compared OMol25 structures with the same formula, charge and spin: 49.1 kcal per mole.

Geometry as XYZ:
```
59
Properties=species:S:1:pos:R:3:forces:R:3:nbo_charge:R:1
C 4.841023 0.373306 -0.635834 0.1 -0.4 0.2 -0.2853
N -1.474208 -1.231345 1.841606 -0.1 0.3 0.5 -0.4851
C 5.332444 -2.400483 -0.268189 0.1 -0.2 -0.3 -0.1620
H 5.090567 4.371959 -1.746322 0.0 0.0 0.0 0.1747
O 3.704468 -3.025362 -1.914971 0.0 -0.1 -0.2 -0.6160
C 5.522804 0.686252 1.642778 0.0 -0.2 -0.1 -0.2266
N -4.548076 0.352893 0.039194 -0.1 0.1 0.0 -0.4771
H -3.215714 -2.739783 -1.750974 0.0 0.0 0.0 0.2132
H 5.561088 2.710875 2.332809 0.0 0.1 0.1 0.2254
H -4.387558 -1.870830 -0.739708 0.1 -0.1 0.0 0.2434
C -4.354843 0.291817 1.481188 0.0 -0.4 0.1 -0.2059
C -5.806722 2.463043 -0.311110 -0.2 -0.3 0.0 -0.0896
H 1.516675 -3.322639 -1.849287 0.0 0.0 0.0 0.2550
H -5.719180 2.777476 0.741587 0.0 0.0 -0.1 0.1578
C 4.682810 1.745545 -0.771543 0.0 0.4 0.0 -0.2964
C 4.390609 4.561628 -0.925919 -0.1 0.1 -0.2 -0.2531
C -5.807600 0.932113 -0.399779 0.0 0.3 0.0 -0.2391
N -2.523199 -2.171433 0.109494 0.1 0.2 0.2 -0.3760
C 0.853902 -1.707317 1.058753 0.0 -0.1 -0.2 -0.2340
H 4.351465 2.129257 -1.723171 0.0 0.1 -0.1 0.2200
H -3.320986 2.841897 0.421015 0.0 0.0 -0.1 0.1597
H -0.941766 -3.374765 -1.998978 0.0 -0.1 -0.1 0.2128
C 5.363315 2.045142 1.508256 -0.1 0.1 -0.2 -0.2587
H -6.722410 2.879646 -0.733758 0.0 0.0 0.1 0.1956
C -3.932268 -1.128562 1.907619 -0.1 0.4 0.0 -0.4539
C -0.531114 -1.725004 0.979759 -0.2 -0.4 -0.7 0.1000
C 5.264488 -0.164997 0.568090 0.0 0.2 -0.1 0.2582
H -2.501724 0.617263 -0.293769 0.1 0.0 -0.1 0.2158
C -0.456831 -2.909443 -1.154231 -0.2 0.0 0.0 -0.2332
C -3.500339 2.509340 -0.613777 0.2 -0.3 0.0 -0.0895
H 5.849913 0.255689 2.575852 0.0 0.0 0.1 0.2245
H -3.537775 0.673107 -1.736650 0.1 0.0 0.0 0.1984
H -6.624838 0.516368 0.191967 0.0 0.0 0.0 0.2007
C 0.919306 -2.884188 -1.068215 0.1 -0.1 -0.2 -0.2523